Now copy the notes further below without altering anything.

/*
The following is a r²SCAN calculation of a relaxed structure of Rb2YAgF6, from the Materials Project database.

Geometry as extended XYZ:
```
10
Lattice="0.000 4.543 4.543 4.543 0.000 4.543 4.543 4.543 0.000" Properties=species:S:1:pos:R:3 pbc="T T T"
F 6.697 4.543 4.543
F 4.543 4.543 2.390
F 4.543 2.390 4.543
F 4.543 4.543 6.697
F 4.543 6.697 4.543
F 2.390 4.543 4.543
Ag 0.000 0.000 0.000
Rb 2.272 2.272 2.272
Rb 6.815 6.815 6.815
Y 4.543 4.543 4.543
```

## Properties
final energy: -119.895 eV per formula unit
DFT formation energy: -3.16 eV/atom
space group: Fm-3m

~~~~~

# 1
The following is a DFT calculation (PBE) of a relaxed Mg5Al34O56 crystal.

Structure (POSCAR):
```
Mg5Al34O56
1.0
1.501 -4.545 -3.101
2.534 0.761 -5.052
30.469 -1.478 12.115
Mg Al O
5 34 56
direct
0.515 0.515 0.438
0.803 0.803 0.586
0.088 0.088 0.733
0.374 0.374 0.880
0.485 0.485 0.546
0.664 0.664 0.028
0.146 0.639 0.077
0.018 0.018 0.010
0.934 0.934 0.160
0.639 0.146 0.077
0.430 0.926 0.213
0.277 0.277 0.144
0.220 0.220 0.298
0.926 0.430 0.213
0.707 0.215 0.352
0.572 0.572 0.283
0.637 0.637 0.128
0.998 0.998 0.496
0.215 0.707 0.352
0.999 0.504 0.496
0.850 0.850 0.423
0.918 0.918 0.268
0.283 0.283 0.641
0.504 0.999 0.496
0.282 0.793 0.641
0.144 0.144 0.567
0.200 0.200 0.405
0.568 0.568 0.788
0.793 0.282 0.641
0.428 0.428 0.716
0.567 0.078 0.788
0.856 0.856 0.933
0.078 0.567 0.788
0.854 0.365 0.933
0.714 0.714 0.862
0.768 0.768 0.697
0.365 0.854 0.933
0.055 0.055 0.842
0.349 0.349 0.987
0.318 0.808 0.033
0.956 0.956 0.103
0.808 0.318 0.033
0.841 0.841 0.034
0.584 0.093 0.175
0.464 0.464 0.105
0.238 0.238 0.244
0.474 0.976 0.105
0.093 0.584 0.175
0.336 0.336 0.039
0.976 0.474 0.105
0.108 0.108 0.177
0.874 0.377 0.317
0.746 0.746 0.248
0.762 0.268 0.250
0.523 0.523 0.381
0.377 0.874 0.317
0.615 0.615 0.182
0.268 0.762 0.250
0.390 0.390 0.318
0.150 0.691 0.467
0.025 0.025 0.392
0.821 0.821 0.529
0.691 0.150 0.467
0.048 0.549 0.395
0.899 0.899 0.323
0.549 0.048 0.395
0.689 0.689 0.465
0.431 0.978 0.610
0.302 0.302 0.534
0.109 0.109 0.674
0.978 0.431 0.610
0.176 0.176 0.466
0.301 0.861 0.534
0.861 0.301 0.534
0.978 0.978 0.610
0.713 0.267 0.754
0.597 0.597 0.681
0.597 0.126 0.680
0.461 0.461 0.616
0.394 0.394 0.819
0.267 0.713 0.754
0.126 0.597 0.680
0.266 0.266 0.754
0.997 0.555 0.897
0.883 0.883 0.822
0.683 0.683 0.963
0.882 0.416 0.822
0.555 0.997 0.897
0.749 0.749 0.756
0.556 0.556 0.897
0.416 0.882 0.822
0.174 0.174 0.964
0.178 0.693 0.961
0.038 0.038 0.898
0.693 0.178 0.961
```

# 2
The following is a DFT calculation (PBE) of a relaxed EuTiO3 crystal.

Structure (POSCAR):
```
EuTiO3
1.0
2.800 -2.801 0.000
2.800 2.801 0.000
0.000 0.000 15.851
Eu Ti O
4 4 12
direct
0.500 0.500 0.625
0.500 0.500 0.875
0.500 0.500 0.125
0.500 0.500 0.375
0.000 0.000 0.000
0.000 0.000 0.250
0.000 0.000 0.500
0.000 0.000 0.750
0.000 0.000 0.125
0.000 0.000 0.375
0.000 0.000 0.625
0.000 0.000 0.875
0.000 0.500 0.000
0.000 0.500 0.250
0.000 0.500 0.500
0.000 0.500 0.750
0.500 0.000 0.000
0.500 0.000 0.250
0.500 0.000 0.500
0.500 0.000 0.750
```

# 3
The following is a DFT calculation (PBE) of a relaxed Cs2UCl6 crystal.

Structure (POSCAR):
```
Cs2UCl6
1.0
4.826 -0.455 -4.054
2.338 6.997 1.998
2.594 -6.119 3.774
Cs U Cl
2 1 6
direct
0.738 0.667 0.333
0.262 0.333 0.667
0.000 0.000 0.000
0.233 0.835 0.165
0.233 0.330 0.165
0.233 0.835 0.670
0.767 0.165 0.835
0.767 0.670 0.835
0.767 0.165 0.330
```

# 4
The following is a DFT calculation (PBE) of a relaxed Al2HgS4 crystal.

Structure (POSCAR):
```
Al2HgS4
1.0
-2.817 2.817 5.160
2.817 -2.817 5.160
2.817 2.817 -5.160
Al Hg S
2 1 4
direct
0.250 0.750 0.500
0.500 0.500 0.000
0.000 0.000 0.000
0.868 0.417 0.014
0.402 0.854 0.986
0.146 0.132 0.548
0.583 0.598 0.452
```

**ΔE to the lowest computed polymorph**: 0 meV/atom
**Piezoelectric modulus e_max**: 0.3 C/m²

# 5
The following is a DFT calculation (PBE) of a relaxed CdAg2GeS4 crystal.

Structure (POSCAR):
```
CdAg2GeS4
1.0
-2.424 -4.980 3.749
4.744 2.357 6.198
-10.161 8.396 4.585
*/

The following is a r²SCAN calculation of a relaxed structure of Rb2YAgF6, from the Materials Project database.

Geometry as extended XYZ:
```
10
Lattice="0.000 4.543 4.543 4.543 0.000 4.543 4.543 4.543 0.000" Properties=species:S:1:pos:R:3 pbc="T T T"
F 6.697 4.543 4.543
F 4.543 4.543 2.390
F 4.543 2.390 4.543
F 4.543 4.543 6.697
F 4.543 6.697 4.543
F 2.390 4.543 4.543
Ag 0.000 0.000 0.000
Rb 2.272 2.272 2.272
Rb 6.815 6.815 6.815
Y 4.543 4.543 4.543
```

## Properties
final energy: -119.895 eV per formula unit
DFT formation energy: -3.16 eV/atom
space group: Fm-3m

~~~~~

# 1
The following is a DFT calculation (PBE) of a relaxed Mg5Al34O56 crystal.

Structure (POSCAR):
```
Mg5Al34O56
1.0
1.501 -4.545 -3.101
2.534 0.761 -5.052
30.469 -1.478 12.115
Mg Al O
5 34 56
direct
0.515 0.515 0.438
0.803 0.803 0.586
0.088 0.088 0.733
0.374 0.374 0.880
0.485 0.485 0.546
0.664 0.664 0.028
0.146 0.639 0.077
0.018 0.018 0.010
0.934 0.934 0.160
0.639 0.146 0.077
0.430 0.926 0.213
0.277 0.277 0.144
0.220 0.220 0.298
0.926 0.430 0.213
0.707 0.215 0.352
0.572 0.572 0.283
0.637 0.637 0.128
0.998 0.998 0.496
0.215 0.707 0.352
0.999 0.504 0.496
0.850 0.850 0.423
0.918 0.918 0.268
0.283 0.283 0.641
0.504 0.999 0.496
0.282 0.793 0.641
0.144 0.144 0.567
0.200 0.200 0.405
0.568 0.568 0.788
0.793 0.282 0.641
0.428 0.428 0.716
0.567 0.078 0.788
0.856 0.856 0.933
0.078 0.567 0.788
0.854 0.365 0.933
0.714 0.714 0.862
0.768 0.768 0.697
0.365 0.854 0.933
0.055 0.055 0.842
0.349 0.349 0.987
0.318 0.808 0.033
0.956 0.956 0.103
0.808 0.318 0.033
0.841 0.841 0.034
0.584 0.093 0.175
0.464 0.464 0.105
0.238 0.238 0.244
0.474 0.976 0.105
0.093 0.584 0.175
0.336 0.336 0.039
0.976 0.474 0.105
0.108 0.108 0.177
0.874 0.377 0.317
0.746 0.746 0.248
0.762 0.268 0.250
0.523 0.523 0.381
0.377 0.874 0.317
0.615 0.615 0.182
0.268 0.762 0.250
0.390 0.390 0.318
0.150 0.691 0.467
0.025 0.025 0.392
0.821 0.821 0.529
0.691 0.150 0.467
0.048 0.549 0.395
0.899 0.899 0.323
0.549 0.048 0.395
0.689 0.689 0.465
0.431 0.978 0.610
0.302 0.302 0.534
0.109 0.109 0.674
0.978 0.431 0.610
0.176 0.176 0.466
0.301 0.861 0.534
0.861 0.301 0.534
0.978 0.978 0.610
0.713 0.267 0.754
0.597 0.597 0.681
0.597 0.126 0.680
0.461 0.461 0.616
0.394 0.394 0.819
0.267 0.713 0.754
0.126 0.597 0.680
0.266 0.266 0.754
0.997 0.555 0.897
0.883 0.883 0.822
0.683 0.683 0.963
0.882 0.416 0.822
0.555 0.997 0.897
0.749 0.749 0.756
0.556 0.556 0.897
0.416 0.882 0.822
0.174 0.174 0.964
0.178 0.693 0.961
0.038 0.038 0.898
0.693 0.178 0.961
```

# 2
The following is a DFT calculation (PBE) of a relaxed EuTiO3 crystal.

Structure (POSCAR):
```
EuTiO3
1.0
2.800 -2.801 0.000
2.800 2.801 0.000
0.000 0.000 15.851
Eu Ti O
4 4 12
direct
0.500 0.500 0.625
0.500 0.500 0.875
0.500 0.500 0.125
0.500 0.500 0.375
0.000 0.000 0.000
0.000 0.000 0.250
0.000 0.000 0.500
0.000 0.000 0.750
0.000 0.000 0.125
0.000 0.000 0.375
0.000 0.000 0.625
0.000 0.000 0.875
0.000 0.500 0.000
0.000 0.500 0.250
0.000 0.500 0.500
0.000 0.500 0.750
0.500 0.000 0.000
0.500 0.000 0.250
0.500 0.000 0.500
0.500 0.000 0.750
```

# 3
The following is a DFT calculation (PBE) of a relaxed Cs2UCl6 crystal.

Structure (POSCAR):
```
Cs2UCl6
1.0
4.826 -0.455 -4.054
2.338 6.997 1.998
2.594 -6.119 3.774
Cs U Cl
2 1 6
direct
0.738 0.667 0.333
0.262 0.333 0.667
0.000 0.000 0.000
0.233 0.835 0.165
0.233 0.330 0.165
0.233 0.835 0.670
0.767 0.165 0.835
0.767 0.670 0.835
0.767 0.165 0.330
```

# 4
The following is a DFT calculation (PBE) of a relaxed Al2HgS4 crystal.

Structure (POSCAR):
```
Al2HgS4
1.0
-2.817 2.817 5.160
2.817 -2.817 5.160
2.817 2.817 -5.160
Al Hg S
2 1 4
direct
0.250 0.750 0.500
0.500 0.500 0.000
0.000 0.000 0.000
0.868 0.417 0.014
0.402 0.854 0.986
0.146 0.132 0.548
0.583 0.598 0.452
```

**ΔE to the lowest computed polymorph**: 0 meV/atom
**Piezoelectric modulus e_max**: 0.3 C/m²

# 5
The following is a DFT calculation (PBE) of a relaxed CdAg2GeS4 crystal.

Structure (POSCAR):
```
CdAg2GeS4
1.0
-2.424 -4.980 3.749
4.744 2.357 6.198
-10.161 8.396 4.585